**Source:**
Record 1
This record from Alexandria via LeMat-Bulk describes a relaxed Sc2Re3Si4 crystal. The functional is GGA-PBEsol.

Geometry as POSCAR:
```
Sc2Re3Si4
1.0
6.564 0.000 0.000
0.000 6.564 0.000
0.000 0.000 12.347
Sc Re Si
8 12 16
direct
0.007 0.341 0.219
0.159 0.507 0.469
0.341 0.007 0.781
0.493 0.841 0.031
0.507 0.159 0.531
0.659 0.993 0.281
0.841 0.493 0.969
0.993 0.659 0.719
0.017 0.185 0.617
0.168 0.168 0.000
0.185 0.017 0.383
0.315 0.517 0.867
0.332 0.668 0.250
0.483 0.685 0.633
0.517 0.315 0.133
0.668 0.332 0.750
0.685 0.483 0.367
0.815 0.983 0.883
0.832 0.832 0.500
0.983 0.815 0.117
0.027 0.279 0.812
0.122 0.804 0.930
0.196 0.878 0.570
0.221 0.527 0.062
0.279 0.027 0.188
0.304 0.378 0.680
0.378 0.304 0.320
0.473 0.779 0.438
0.527 0.221 0.938
0.622 0.696 0.820
0.696 0.622 0.180
0.721 0.973 0.688
0.779 0.473 0.562
0.804 0.122 0.070
0.878 0.196 0.430
0.973 0.721 0.312
```

The theoretical density is 9.50 g/cm3. The formation energy without anion corrections is -0.6980 eV per atom.

***

Record 2
This record from Alexandria via LeMat-Bulk describes a relaxed Sc5Re8Si12 crystal. The functional is GGA-PBEsol.

Geometry as POSCAR:
```
Sc5Re8Si12
1.0
14.400 0.000 0.000
0.000 9.794 2.601
0.000 -9.794 2.601
Sc Re Si
10 16 24
direct
0.000 0.000 0.000
0.173 0.153 0.424
0.173 0.424 0.153
0.325 0.658 0.926
0.325 0.926 0.658
0.500 0.525 0.525
0.675 0.658 0.926
0.675 0.926 0.658
0.827 0.153 0.424
0.827 0.424 0.153
0.000 0.435 0.637
0.000 0.637 0.435
0.125 0.002 0.590
0.125 0.590 0.002
0.221 0.073 0.073
0.269 0.565 0.565
0.393 0.092 0.494
0.393 0.494 0.092
0.500 0.123 0.954
0.500 0.954 0.123
0.607 0.092 0.494
0.607 0.494 0.092
0.731 0.565 0.565
0.779 0.073 0.073
0.875 0.002 0.590
0.875 0.590 0.002
0.000 0.174 0.894
0.000 0.238 0.678
0.000 0.678 0.238
0.000 0.894 0.174
0.102 0.427 0.427
0.147 0.702 0.864
0.147 0.864 0.702
0.258 0.292 0.792
0.258 0.792 0.292
0.351 0.210 0.367
0.351 0.367 0.210
0.379 0.913 0.913
0.500 0.136 0.720
0.500 0.421 0.683
0.500 0.683 0.421
0.500 0.720 0.136
0.621 0.913 0.913
0.649 0.210 0.367
0.649 0.367 0.210
0.742 0.292 0.792
0.742 0.792 0.292
0.853 0.702 0.864
0.853 0.864 0.702
0.898 0.427 0.427
```

The theoretical density is 9.29 g/cm3. The formation energy without anion corrections is -0.6826 eV per atom.

***

Record 3
This record from Alexandria via LeMat-Bulk describes a relaxed ScReSi crystal. The functional is GGA-PBEsol.

Geometry as POSCAR:
```
ScReSi
1.0
0.000 2.951 2.951
2.951 0.000 2.951
2.951 2.951 0.000
Sc Re Si
1 1 1
direct
0.000 0.000 0.000
0.500 0.500 0.500
0.250 0.250 0.250
```

The theoretical density is 8.38 g/cm3. The formation energy without anion corrections is -0.1270 eV per atom.

***

Record 4
This record from Alexandria via LeMat-Bulk describes a relaxed SrSc2Re crystal. The functional is GGA-PBEsol.

Geometry as POSCAR:
```
SrSc2Re
1.0
3.607 0.000 0.000
0.000 3.607 0.000
0.000 0.000 7.675
Sr Sc Re
1 2 1
direct
0.000 0.000 0.000
0.000 0.000 0.408
0.500 0.500 0.628
0.500 0.500 0.286
```

The calculation puts the formation energy at 327 meV per atom. The theoretical density is 6.05 g/cm3.


Below is a relaxed ZrAlMo3 crystal, with properties calculated at the PBE level.

Values from the calculation:
**Energy relative to the elements**: 9.79 eV/f.u.
**Relative energy among the computed polymorphs**: 0.844 eV/atom
**M_tot**: 0.000 μB/cell

Cell: 4.7931 4.7931 4.7931 Å, 90.00 90.00 90.00°
With the nearest neighbours (Å) after each atom.
Positions (direct):
Mo 0.0000 0.5000 0.0000  2 Zr 2.40
Mo 0.0000 0.0000 0.5000  2 Zr 2.40
Mo 0.5000 0.0000 0.0000  2 Zr 2.40
Al 0.5000 0.5000 0.5000  12 Mo 3.39
Zr 0.0000 0.0000 0.0000  6 Mo 2.40

**Job:**
Now find the line above that holds "0.315 0.517", then type out that line and all lines after it there.

**Reply:**
0.315 0.517 0.867
0.332 0.668 0.250
0.483 0.685 0.633
0.517 0.315 0.133
0.668 0.332 0.750
0.685 0.483 0.367
0.815 0.983 0.883
0.832 0.832 0.500
0.983 0.815 0.117
0.027 0.279 0.812
0.122 0.804 0.930
0.196 0.878 0.570
0.221 0.527 0.062
0.279 0.027 0.188
0.304 0.378 0.680
0.378 0.304 0.320
0.473 0.779 0.438
0.527 0.221 0.938
0.622 0.696 0.820
0.696 0.622 0.180
0.721 0.973 0.688
0.779 0.473 0.562
0.804 0.122 0.070
0.878 0.196 0.430
0.973 0.721 0.312
```

The theoretical density is 9.50 g/cm3. The formation energy without anion corrections is -0.6980 eV per atom.

***

Record 2
This record from Alexandria via LeMat-Bulk describes a relaxed Sc5Re8Si12 crystal. The functional is GGA-PBEsol.

Geometry as POSCAR:
```
Sc5Re8Si12
1.0
14.400 0.000 0.000
0.000 9.794 2.601
0.000 -9.794 2.601
Sc Re Si
10 16 24
direct
0.000 0.000 0.000
0.173 0.153 0.424
0.173 0.424 0.153
0.325 0.658 0.926
0.325 0.926 0.658
0.500 0.525 0.525
0.675 0.658 0.926
0.675 0.926 0.658
0.827 0.153 0.424
0.827 0.424 0.153
0.000 0.435 0.637
0.000 0.637 0.435
0.125 0.002 0.590
0.125 0.590 0.002
0.221 0.073 0.073
0.269 0.565 0.565
0.393 0.092 0.494
0.393 0.494 0.092
0.500 0.123 0.954
0.500 0.954 0.123
0.607 0.092 0.494
0.607 0.494 0.092
0.731 0.565 0.565
0.779 0.073 0.073
0.875 0.002 0.590
0.875 0.590 0.002
0.000 0.174 0.894
0.000 0.238 0.678
0.000 0.678 0.238
0.000 0.894 0.174
0.102 0.427 0.427
0.147 0.702 0.864
0.147 0.864 0.702
0.258 0.292 0.792
0.258 0.792 0.292
0.351 0.210 0.367
0.351 0.367 0.210
0.379 0.913 0.913
0.500 0.136 0.720
0.500 0.421 0.683
0.500 0.683 0.421
0.500 0.720 0.136
0.621 0.913 0.913
0.649 0.210 0.367
0.649 0.367 0.210
0.742 0.292 0.792
0.742 0.792 0.292
0.853 0.702 0.864
0.853 0.864 0.702
0.898 0.427 0.427
```

The theoretical density is 9.29 g/cm3. The formation energy without anion corrections is -0.6826 eV per atom.

***

Record 3
This record from Alexandria via LeMat-Bulk describes a relaxed ScReSi crystal. The functional is GGA-PBEsol.

Geometry as POSCAR:
```
ScReSi
1.0
0.000 2.951 2.951
2.951 0.000 2.951
2.951 2.951 0.000
Sc Re Si
1 1 1
direct
0.000 0.000 0.000
0.500 0.500 0.500
0.250 0.250 0.250
```

The theoretical density is 8.38 g/cm3. The formation energy without anion corrections is -0.1270 eV per atom.

***

Record 4
This record from Alexandria via LeMat-Bulk describes a relaxed SrSc2Re crystal. The functional is GGA-PBEsol.

Geometry as POSCAR:
```
SrSc2Re
1.0
3.607 0.000 0.000
0.000 3.607 0.000
0.000 0.000 7.675
Sr Sc Re
1 2 1
direct
0.000 0.000 0.000
0.000 0.000 0.408
0.500 0.500 0.628
0.500 0.500 0.286
```

The calculation puts the formation energy at 327 meV per atom. The theoretical density is 6.05 g/cm3.


Below is a relaxed ZrAlMo3 crystal, with properties calculated at the PBE level.

Values from the calculation:
**Energy relative to the elements**: 9.79 eV/f.u.
**Relative energy among the computed polymorphs**: 0.844 eV/atom
**M_tot**: 0.000 μB/cell

Cell: 4.7931 4.7931 4.7931 Å, 90.00 90.00 90.00°
With the nearest neighbours (Å) after each atom.
Positions (direct):
Mo 0.0000 0.5000 0.0000  2 Zr 2.40
Mo 0.0000 0.0000 0.5000  2 Zr 2.40
Mo 0.5000 0.0000 0.0000  2 Zr 2.40
Al 0.5000 0.5000 0.5000  12 Mo 3.39
Zr 0.0000 0.0000 0.0000  6 Mo 2.40